title: The functioning of grassland communities, their species diversity, productivity and effective management in various environmental conditions.
reg no: SF0172615s03
project type: targeted financing
subject: 1.10-1.16. Bio-Geo Sciences
4. Agricultural Sciences
status: accepted
institution: Estonian Agricultural University
head of project: Rein Viiralt
duration: 01.01.2003 - 31.12.2007
description: The impact of the main ecological-economical factors on the phytoproduction of sown grasslands has been studied in the preceding experiments carried out in the Estonian Agricultural University. The main factors, influencing the amount of the yield and its quality were meteorological conditions; the productivity of the soil and fertilization; the species and their cultivars sown on the grassland; the age of the stand and its utilization system (the number and timing of cuts and grazings).
The planned research will be focused on the issues, which arising from previous studies and meet needs of practical grassland management: 1) the physiological and agro-ecological factors, influencing the winter resistance of herbage (the model species will be alfalfa and perennial ryegrass). 2); the key issues for introduction Estonia kura clover (Trifolium ambiguum) - a new long-term grassland plant (i.e. finding an efficient strain of Rhizobium for N fixation, optimum seed mixtures and methods of establishing swards); 3) the relationships between the species diversity of grassland and its productivity; 4) nutrient cycling in grassland. The productivity of intensive and organic pasture and their influence on the soil will be compared in a field experiment.
In summary, the results of the research enable to understand better the functioning of grassland communities and optimize their composition of species and phytoproduction. The usage of the results in practice makes it possible to reduce the variation in the yields of grassland and their quality for cattle in different years.

project group
no name institution position  
1.Volli GehermanEstonian Agricultural Universityteadur 
2.Alice JuhkamEstonian Agricultural Universitymagistrant 
3.Niina KabanenEstonian Agricultural Universityteadur/doktorant 
........
# 1
The following is a calculated PXRD pattern of K2LiS2O4F2. It was derived from a crystal structure in the Materials Project, relaxed with GGA-PBE, using Cu Kα, 1.54184 Å.

The 10 most intense peaks (2θ = 10–80°), in order of falling intensity:
d 4.248, 20.91°, I 100.0, (1 1 1); d 4.922, 18.02°, I 90.0, (1 0 0); d 2.993, 29.86°, I 87.2, (0 1 2); d 3.091, 28.89°, I 78.7, (0 1 -2); d 3.256, 27.39°, I 77.7, (1 -1 1); d 3.171, 28.14°, I 53.3, (1 1 2); d 2.655, 33.76°, I 52.3, (2 1 1); d 3.607, 24.69°, I 50.6, (1 0 -1); d 4.565, 19.45°, I 47.8, (0 1 -1); d 2.026, 44.73°, I 42.7, (2 0 3)

Cell and atoms:
```
data_K2LiS2O4F2
_chemical_formula_sum 'K2 Li1 S2 O4 F2'
_cell_length_a 5.387
_cell_length_b 6.034
_cell_length_c 7.486
_cell_angle_alpha 86.90
_cell_angle_beta 73.31
_cell_angle_gamma 72.39
_space_group_name_H-M_alt 'P 1'
_space_group_IT_number 1
loop_
_space_group_symop_operation_xyz
'x,y,z'
loop_
_atom_site_label
_atom_site_fract_x
_atom_site_fract_y
_atom_site_fract_z
_atom_site_occupancy
K1 0.000 0.000 0.000 1
K2 0.494 0.692 0.271 1
Li1 0.446 0.282 0.881 1
S1 0.827 0.055 0.502 1
S2 0.906 0.540 0.776 1
O1 0.129 0.551 0.861 1
O2 0.542 0.131 0.619 1
O3 0.705 0.435 0.915 1
O4 0.880 0.862 0.368 1
F1 0.462 0.033 0.037 1
F2 0.822 0.287 0.341 1
```

***

# 2
The following is a calculated PXRD pattern of RbBiF4. It was derived from a crystal structure in the Materials Project, relaxed with GGA-PBE, using Cu Kα, 1.54184 Å.

The 10 most intense peaks (2θ = 10–80°), in order of falling intensity:
d 3.485, 25.56°, I 100.0, (2 2 2); d 2.134, 42.35°, I 57.6, (4 4 0); d 1.820, 50.12°, I 49.0, (6 2 2); d 3.018, 29.60°, I 29.1, (4 0 0); d 6.970, 12.70°, I 26.8, (1 1 1); d 1.385, 67.66°, I 20.3, (6 6 2); d 1.232, 77.47°, I 16.7, (8 4 4); d 3.640, 24.46°, I 14.7, (3 1 1); d 1.350, 69.67°, I 14.6, (8 4 0); d 1.742, 52.52°, I 10.0, (4 4 4)

Cell and atoms:
Unit cell a=12.072 b=12.072 c=12.072 alpha=90.00 beta=90.00 gamma=90.00
Space group Fd-3m (No. 227, origin choice 2)
Symmetry-distinct sites (fractional):
Rb 0.000 0.000 0.000 [16 per cell]
Bi 0.000 0.000 0.500 [16 per cell]
F 0.088 0.375 0.875 [48 per cell]
F 0.125 0.125 0.125 [8 per cell]
F 0.125 0.125 0.625 [8 per cell]

***

# 3
The following is a calculated PXRD pattern of SiGe. It was derived from a crystal structure in the Materials Project, relaxed with GGA-PBE, using Cu Kα, 1.54184 Å.

The 8 most intense peaks (2θ = 10–80°), in order of falling intensity:
d 3.229, 27.62°, I 100.0, (1 1 1); d 1.977, 45.89°, I 60.5, (2 2 0); d 1.686, 54.41°, I 43.7, (3 1 1); d 1.283, 73.86°, I 17.3, (3 3 1); d 2.797, 32.00°, I 16.9, (2 0 0); d 1.398, 66.92°, I 9.6, (4 0 0); d 1.251, 76.11°, I 5.4, (4 2 0); d 1.615, 57.04°, I 4.4, (2 2 2)

Cell and atoms:
```
data_SiGe
_chemical_formula_sum 'Si4 Ge4'
_cell_length_a 5.593
_cell_length_b 5.593
_cell_length_c 5.593
_cell_angle_alpha 90.00
_cell_angle_beta 90.00
_cell_angle_gamma 90.00
_space_group_name_H-M_alt 'F -4 3 m'
_space_group_IT_number 216
........
End of the records of crystals:
4.Tarmo KannikEstonian Agricultural Universitymagistrant 
5.Indrek KeresEstonian Agricultural Universityteadur/doktorant 
6.Merike KissaEstonian Agricultural Universityagronoom 
7.Malle KärnerEstonian Agricultural Universitydots./ teadur 
8.Toomas LaidnaEstonian Agricultural Universitylektor/doktorant 
9.Rein LillakEstonian Agricultural Universitydots./ teadur 
10.Astrid LinkeEstonian Agricultural Universityteadur 
11.Argaadi ParolEstonian Agricultural Universitydots./ teadur 
12.Kristjan PunaEstonian Agricultural Universitymagistrant 
13.Neidi PuurEstonian Agricultural Universitymagistrant 
14.Liivi RaagEstonian Agricultural Universityagronoom 
15.Henn RaaveEstonian Agricultural Universityteadur 
16.Are SelgeEstonian Agricultural Universitydots. 
17.Krista ToomEstonian Agricultural Universitymagistrant 
**What comes next are crystal structures, not part of the page:**
/*
1.
Structure and calculated XRD peak list of NaSb5O13 (a crystal structure in Alexandria, relaxed with GGA-PBE; Cu Kα (weighted mean of Kα1 and Kα2)).

Crystal structure
abc: 16.768 5.621 5.621
angles: 107.07 90.00 90.00
Element x y z (fractional)
Na1 0.250 0.130 0.870
Na2 0.750 0.870 0.130
Sb1 0.000 0.001 0.001
Sb2 0.080 0.387 0.615
Sb3 0.139 0.769 0.232
Sb4 0.361 0.769 0.232
Sb5 0.420 0.387 0.615
Sb6 0.500 0.001 0.001
Sb7 0.580 0.615 0.387
Sb8 0.639 0.232 0.769
Sb9 0.861 0.232 0.769
Sb10 0.920 0.615 0.387
O1 0.000 0.312 0.312
O2 0.000 0.690 0.690
O3 0.010 0.775 0.226
O4 0.115 0.987 0.014
O5 0.137 0.070 0.530
O6 0.137 0.471 0.931
O7 0.154 0.555 0.447
O8 0.250 0.831 0.170
O9 0.346 0.555 0.447
O10 0.363 0.070 0.530
O11 0.363 0.471 0.931
O12 0.385 0.987 0.014
O13 0.490 0.775 0.226
O14 0.500 0.312 0.312
O15 0.500 0.690 0.690
O16 0.510 0.226 0.775
O17 0.615 0.014 0.987
O18 0.637 0.530 0.070
O19 0.637 0.931 0.471
O20 0.654 0.447 0.555
O21 0.750 0.170 0.831
O22 0.846 0.447 0.555
O23 0.863 0.530 0.070
O24 0.863 0.931 0.471
O25 0.885 0.014 0.987
O26 0.990 0.226 0.775

Peak list (10 most intense, 5° ≤ 2θ ≤ 70°, low angle first)
2theta, d [Å], I/Imax
10.55, 8.384, 90
25.34, 3.515, 42
26.69, 3.340, 100
26.98, 3.305, 29
29.05, 3.074, 39
31.45, 2.845, 55
33.04, 2.711, 31
34.35, 2.611, 29
36.44, 2.465, 31
51.99, 1.759, 43



2.
Structure and calculated XRD peak list of U6O11 (a crystal structure in Alexandria, relaxed with GGA-PBE; Cu Kα (weighted mean of Kα1 and Kα2)).

Crystal structure
abc: 6.659 6.659 6.662
angles: 99.61 99.61 119.98
Element x y z (fractional)
U1 0.000 0.000 0.000
U2 0.179 0.827 0.482
U3 0.330 0.662 0.983
U4 0.481 0.481 0.481
U5 0.662 0.330 0.983
U6 0.827 0.179 0.482
O1 0.043 0.698 0.110
O2 0.109 0.109 0.368
O3 0.206 0.537 0.611
O4 0.267 0.949 0.847
O5 0.371 0.371 0.110
O6 0.475 0.793 0.373
O7 0.537 0.206 0.611
O8 0.634 0.634 0.852
O9 0.698 0.043 0.110
O10 0.793 0.475 0.373
O11 0.949 0.267 0.847

Peak list (7 most intense, 5° ≤ 2θ ≤ 70°, low angle first)
2theta, d [Å], I/Imax
28.43, 3.140, 100
32.94, 2.719, 38
47.28, 1.923, 47
56.08, 1.640, 31
56.10, 1.639, 15
58.82, 1.570, 11
69.09, 1.360, 7



3.
Structure and calculated XRD peak list of SmDy2Si2Pt7 (a crystal structure in Alexandria, relaxed with GGA-PBE; Cu Kα (weighted mean of Kα1 and Kα2)).

Crystal structure
abc: 4.059 4.059 13.833
angles: 96.25 96.25 89.40
Element x y z (fractional)
Sm1 0.000 0.000 0.000
Dy1 0.117 0.117 0.358
Dy2 0.883 0.883 0.642
Si1 0.403 0.403 0.741
Si2 0.597 0.597 0.259
Pt1 0.062 0.562 0.165
Pt2 0.366 0.366 0.571
Pt3 0.438 0.938 0.835
Pt4 0.500 0.500 0.000
Pt5 0.562 0.062 0.165
Pt6 0.634 0.634 0.429
Pt7 0.938 0.438 0.835

Peak list (10 most intense, 5° ≤ 2θ ≤ 70°, low angle first)
2theta, d [Å], I/Imax
6.47, 13.670, 49
32.05, 2.793, 43
32.76, 2.734, 40
34.03, 2.635, 50
34.46, 2.603, 67
35.93, 2.499, 85
36.24, 2.479, 23
37.16, 2.420, 100
44.69, 2.028, 85
44.93, 2.018, 27



4.
*/
18.Rein ViiraltEstonian Agricultural University